**Activity**
Now find "0.1897" and "'x+1/2,y+1/2,z'" in the contents further below, and set down these two lines and those between.

**Material**
Version w
First-principles (GGA-PBE) data for Pr6ErTl2 after structural relaxation, as listed in Alexandria via LeMat-Bulk.

Cell lengths 6.8924, 6.8924, 12.2894 Å; angles 107.06, 107.06, 32.48 degrees
With the nearest neighbours (Å) after each atom.
Atoms (fractional coordinates):
Pr 0.0205 0.0205 0.3428  2 Tl 3.37, 5 Pr 3.61-3.71
Pr 0.3053 0.3053 0.4051  2 Tl 3.48, 10 Pr 3.53-3.85
Pr 0.3207 0.3207 0.1231  2 Tl 3.40, 5 Pr 3.53-3.69, 2 Er 3.72
Pr 0.6793 0.6793 0.8769  2 Tl 3.40, 5 Pr 3.53-3.69, 2 Er 3.72
Pr 0.6947 0.6947 0.5949  2 Tl 3.48, 10 Pr 3.53-3.85
Pr 0.9795 0.9795 0.6572  2 Tl 3.37, 5 Pr 3.61-3.71
Er 0.0000 0.0000 0.0000  4 Tl 3.14
Tl 0.3638 0.3638 0.8103  2 Er 3.14, 6 Pr 3.37-3.48
Tl 0.6362 0.6362 0.1897  2 Er 3.14, 6 Pr 3.37-3.48

Calculated values
Fermi-level density of states ... 10.7 states/eV/f.u.
Magnetization ... 0.00 μB per formula unit



Version x
First-principles (GGA-PBE) data for Pr6ErTl2 after structural relaxation, as listed in Alexandria via LeMat-Bulk.

Cell lengths 10.0879, 10.0879, 6.0526 Å; angles 97.34, 97.34, 72.40 degrees
With the nearest neighbours (Å) after each atom.
Atoms (fractional coordinates):
Pr 0.0550 0.8277 0.9654  4 Tl 3.29-3.54, 4 Pr 3.29-3.66, 1 Er 3.41
Pr 0.1390 0.3863 0.1663  4 Pr 3.29-3.61, 4 Tl 3.36-3.60
Pr 0.1723 0.9450 0.5346  4 Tl 3.29-3.54, 4 Pr 3.29-3.66, 1 Er 3.41
Pr 0.2758 0.4974 0.6983  5 Pr 3.43-3.73, 2 Tl 3.51-3.73, 3 Er 3.54-3.57
Pr 0.3863 0.1390 0.6663  4 Pr 3.29-3.61, 4 Tl 3.36-3.60
Pr 0.4974 0.2758 0.1983  5 Pr 3.43-3.73, 2 Tl 3.51-3.73, 3 Er 3.54-3.57
Pr 0.5026 0.7242 0.8017  5 Pr 3.43-3.73, 2 Tl 3.51-3.73, 3 Er 3.54-3.57
Pr 0.6137 0.8610 0.3337  4 Pr 3.29-3.61, 4 Tl 3.36-3.60
Pr 0.7242 0.5026 0.3017  5 Pr 3.43-3.73, 2 Tl 3.51-3.73, 3 Er 3.54-3.57
Pr 0.8277 0.0550 0.4654  4 Tl 3.29-3.54, 4 Pr 3.29-3.66, 1 Er 3.41
Pr 0.8610 0.6137 0.8337  4 Pr 3.29-3.61, 4 Tl 3.36-3.60
Pr 0.9450 0.1723 0.0346  4 Tl 3.29-3.54, 4 Pr 3.29-3.66, 1 Er 3.41
Er 0.3554 0.6446 0.2500  8 Pr 3.41-3.57
Er 0.6446 0.3554 0.7500  8 Pr 3.41-3.57
Tl 0.0180 0.2931 0.5991  9 Pr 3.29-3.60
Tl 0.2931 0.0180 0.0991  9 Pr 3.29-3.60
Tl 0.7069 0.9820 0.9009  9 Pr 3.29-3.60
Tl 0.9820 0.7069 0.4009  9 Pr 3.29-3.60

Calculated values
Fermi-level density of states ... 10.6 states/eV/f.u.
Magnetization ... 0.00 μB per formula unit



Energy above the most stable structure, in meV/atom: version w 0; version x 31


This record from Alexandria via LeMat-Bulk describes a relaxed structure of CaAl2Au. The functional is PBE.

Calculated values
- formation energy (eV per formula unit) = -1.88

Geometry as CIF:
```
data_CaAl2Au
_chemical_formula_sum 'Ca2 Al4 Au2'
_symmetry_space_group_name_H-M 'C 1 m 1'
_symmetry_Int_Tables_number 8
_cell_length_a 7.584
_cell_length_b 4.377
_cell_length_c 6.007
_cell_angle_alpha 90.00
_cell_angle_beta 114.69
_cell_angle_gamma 90.00
loop_
_symmetry_equiv_pos_as_xyz
'x,y,z'
'x,-y,z'
'x+1/2,y+1/2,z'
'x+1/2,-y+1/2,z'
loop_
_atom_site_label
_atom_site_type_symbol
_atom_site_fract_x
_atom_site_fract_y
_atom_site_fract_z
Ca1 Ca 0.000 0.000 0.000
Al1 Al 0.206 0.000 0.619
Al2 Al 0.455 0.000 0.366
Au1 Au 0.310 0.500 0.430
```

This record from Alexandria via LeMat-Bulk describes a relaxed structure of Ca3Al4Au4. The functional is PBE.

Calculated values
- polymorph energy (0 for the lowest one) (meV/atom) = 63.2

**Reply**
Tl 0.6362 0.6362 0.1897  2 Er 3.14, 6 Pr 3.37-3.48

Calculated values
Fermi-level density of states ... 10.7 states/eV/f.u.
Magnetization ... 0.00 μB per formula unit



Version x
First-principles (GGA-PBE) data for Pr6ErTl2 after structural relaxation, as listed in Alexandria via LeMat-Bulk.

Cell lengths 10.0879, 10.0879, 6.0526 Å; angles 97.34, 97.34, 72.40 degrees
With the nearest neighbours (Å) after each atom.
Atoms (fractional coordinates):
Pr 0.0550 0.8277 0.9654  4 Tl 3.29-3.54, 4 Pr 3.29-3.66, 1 Er 3.41
Pr 0.1390 0.3863 0.1663  4 Pr 3.29-3.61, 4 Tl 3.36-3.60
Pr 0.1723 0.9450 0.5346  4 Tl 3.29-3.54, 4 Pr 3.29-3.66, 1 Er 3.41
Pr 0.2758 0.4974 0.6983  5 Pr 3.43-3.73, 2 Tl 3.51-3.73, 3 Er 3.54-3.57
Pr 0.3863 0.1390 0.6663  4 Pr 3.29-3.61, 4 Tl 3.36-3.60
Pr 0.4974 0.2758 0.1983  5 Pr 3.43-3.73, 2 Tl 3.51-3.73, 3 Er 3.54-3.57
Pr 0.5026 0.7242 0.8017  5 Pr 3.43-3.73, 2 Tl 3.51-3.73, 3 Er 3.54-3.57
Pr 0.6137 0.8610 0.3337  4 Pr 3.29-3.61, 4 Tl 3.36-3.60
Pr 0.7242 0.5026 0.3017  5 Pr 3.43-3.73, 2 Tl 3.51-3.73, 3 Er 3.54-3.57
Pr 0.8277 0.0550 0.4654  4 Tl 3.29-3.54, 4 Pr 3.29-3.66, 1 Er 3.41
Pr 0.8610 0.6137 0.8337  4 Pr 3.29-3.61, 4 Tl 3.36-3.60
Pr 0.9450 0.1723 0.0346  4 Tl 3.29-3.54, 4 Pr 3.29-3.66, 1 Er 3.41
Er 0.3554 0.6446 0.2500  8 Pr 3.41-3.57
Er 0.6446 0.3554 0.7500  8 Pr 3.41-3.57
Tl 0.0180 0.2931 0.5991  9 Pr 3.29-3.60
Tl 0.2931 0.0180 0.0991  9 Pr 3.29-3.60
Tl 0.7069 0.9820 0.9009  9 Pr 3.29-3.60
Tl 0.9820 0.7069 0.4009  9 Pr 3.29-3.60

Calculated values
Fermi-level density of states ... 10.6 states/eV/f.u.
Magnetization ... 0.00 μB per formula unit



Energy above the most stable structure, in meV/atom: version w 0; version x 31


This record from Alexandria via LeMat-Bulk describes a relaxed structure of CaAl2Au. The functional is PBE.

Calculated values
- formation energy (eV per formula unit) = -1.88

Geometry as CIF:
```
data_CaAl2Au
_chemical_formula_sum 'Ca2 Al4 Au2'
_symmetry_space_group_name_H-M 'C 1 m 1'
_symmetry_Int_Tables_number 8
_cell_length_a 7.584
_cell_length_b 4.377
_cell_length_c 6.007
_cell_angle_alpha 90.00
_cell_angle_beta 114.69
_cell_angle_gamma 90.00
loop_
_symmetry_equiv_pos_as_xyz
'x,y,z'
'x,-y,z'
'x+1/2,y+1/2,z'